A lot of people hate on Poltergeist III and to be honest, this is not as good as Poltergeist or Poltergeist II: The Other Side, however, I would not say that this movie is horrible. I feel that they had some pretty interesting ideas, but while some of the ideas worked, this feels like they went for more of a straight-up jump scare horror movie than the creepy vibes and uneasy tension the other two movies had.
How to Download Poltergeist III
Poltergeist III was released on June 10, 1988. If you’re eager for a Poltergeist III download or steam, various digital platforms offer the movie for rental or purchase. Simply choose your preferred option and enjoy revisiting this haunting conclusion to the series. For those who appreciate creepy mirror scenes and a different take on the classic supernatural story, this movie is a must-watch.
The Movie Review
The Legacy of Heather O’Rourke
Next to the article, the page also holds records of molecules:
/*
{
  "formula": "C36H22F9NO4PPtS",
  "method": "the ωB97M-V functional and the def2-TZVPD basis",
  "symbols": ["Pt", "C", "C", "C", "C", "C", "C", "C", "C", "C", "C", "C", "C", "C", "C", "C", "N", "H", "H", "H", "H", "H", "H", "H", "H", "H", "H", "O", "S", "O", "O", "O", "F", "C", "F", "F", "C", "C", "C", "C", "C", "C", "P", "C", "C", "C", "C", "C", "C", "C", "F", "F", "F", "C", "C", "C", "C", "C", "C", "C", "F", "F", "F", "H", "H", "H", "H", "H", "H", "H", "H", "H", "H", "H", "H"],
  "xyz": [[-0.80066, -0.92831, -0.73439], [-0.72939, -0.89275, -5.10492], [-1.78588, -1.72768, -5.43124], [-2.43238, -2.42873, -4.43112], [-2.03045, -2.24973, -3.11694], [-1.01149, -1.37659, -2.74620], [-0.34724, -0.72428, -3.78372], [-1.91107, -3.72123, -1.24523], [-1.80600, -5.09656, -1.26320], [-1.03008, -5.71177, -0.28817], [-0.43526, -4.92016, 0.72286], [0.30454, -5.43087, 1.80058], [0.81917, -4.59475, 2.77385], [0.60823, -3.22415, 2.71509], [-0.10866, -2.68672, 1.66587], [-0.61725, -3.51196, 0.66079], [-1.31647, -2.93350, -0.35408], [-0.20894, -0.35669, -5.88504], [-2.09359, -1.85344, -6.45862], [-3.24487, -3.10713, -4.63981], [0.48664, -0.07389, -3.54742], [-2.33309, -5.66249, -2.01530], [-0.91042, -6.78338, -0.28085], [0.46011, -6.49703, 1.86688], [1.37170, -5.00783, 3.60576], [0.98616, -2.58295, 3.49616], [-0.31918, -1.61830, 1.62261], [-5.04486, -2.14777, -2.14006], [-3.97092, -2.04384, -1.20255], [-3.37119, -0.74975, -1.08274], [-2.72553, -3.06761, -2.17417], [-4.06877, -2.84166, -0.02437], [-4.69833, 3.51448, 3.69780], [-3.86452, 4.28265, 2.97278], [-3.33547, 5.16905, 3.84013], [-4.66690, 5.01660, 2.16243], [-2.83694, 3.49851, 2.23016], [-1.58598, 4.05733, 1.96615], [-0.63489, 3.31942, 1.29720], [-0.92252, 2.01631, 0.87329], [-2.20209, 1.49454, 1.08178], [-3.14986, 2.21480, 1.76895], [0.26036, 0.95663, -0.00999], [1.45786, 0.54264, 1.30336], [2.63118, -0.12329, 0.91288], [3.55064, -0.54188, 1.84347], [3.30375, -0.33116, 3.20224], [2.09464, 0.24032, 3.60954], [1.18139, 0.66057, 2.67028], [4.31068, -0.72324, 4.22790], [4.40416, 0.16977, 5.23748], [4.03671, -1.90668, 4.83024], [5.55664, -0.84921, 3.73534], [1.25050, 2.13359, -0.98278], [0.75921, 2.51801, -2.23507], [1.40288, 3.47675, -2.98044], [2.56046, 4.08710, -2.47950], [3.04736, 3.73056, -1.22052], [2.38581, 2.78058, -0.47753], [3.28105, 5.07712, -3.32850], [2.45790, 5.93860, -3.96293], [4.00050, 4.48598, -4.31809], [4.15988, 5.83869, -2.65281], [-1.36465, 5.06178, 2.29749], [0.33970, 3.73939, 1.09795], [-2.43783, 0.50945, 0.69220], [-4.12470, 1.79594, 1.96198], [2.80971, -0.27261, -0.14346], [4.46682, -1.02075, 1.53289], [1.89162, 0.36293, 4.66293], [0.25152, 1.11086, 2.98714], [-0.13132, 2.02916, -2.60506], [1.02644, 3.77108, -3.94875], [3.93561, 4.20556, -0.83052], [2.75811, 2.51555, 0.49966]],
*/
So much for the records of molecules:
This would be the last movie that young Heather O’Rourke would be in as she tragically lost her battle with Chrones Disease and passed away before the movie was released. It is an absolute tragedy that someone so young went through what she did, but her portrayal of Carol Anne is truly iconic and something that all horror movie fans are familiar with.
The Plot of Poltergeist III
Record 1
{"formula": "C3H11NO3", "method": "ωB97M-V/def2-TZVPD", "lumo_energy_ev": 0.5, "smiles": "C[C@@H](N)C=O.O.O", "total_charge": 0, "homo_lumo_gap_ev": 10.2965, "relative_energy_kcal_mol": 41.79, "symbols": ["C", "C", "N", "C", "O", "H", "H", "H", "H", "H", "H", "H", "O", "H", "H", "O", "H", "H"], "coordinates": [[0.796518, 0.561997, -0.798054], [0.985759, -0.926157, -0.408125], [2.357648, -1.356545, -0.471766], [0.514002, -1.083780, 1.079778], [-0.435547, -0.470790, 1.498101], [1.495866, 0.724086, -1.619589], [1.203453, 1.226589, -0.016745], [-0.225741, 0.768094, -1.004974], [0.280099, -1.570190, -0.934585], [2.923307, -0.527271, -0.461755], [2.663270, -1.821010, -1.299328], [1.178105, -1.817116, 1.579275], [-1.689474, 2.691765, 0.449054], [-1.961389, 2.940891, -0.445426], [-1.671964, 1.738346, 0.503809], [-2.901616, 0.012349, 0.802874], [-2.004000, -0.371845, 0.870692], [-3.508294, -0.719414, 0.676764]], "atomic_forces_ev_per_a": [[1.700, -0.797, 0.340], [-0.766, 0.800, 1.538], [0.359, 0.076, 0.353], [0.390, 0.208, -2.087], [0.821, -0.684, 0.752], [-0.628, 0.171, -0.553], [-0.563, -0.295, 0.007], [-0.591, 0.512, -0.326], [0.252, -0.126, -0.439], [0.439, 0.301, 0.353], [-0.374, -0.567, -0.641], [-0.435, 0.195, 0.761], [0.265, 0.922, -0.186], [0.037, -0.382, 0.359], [-0.397, -0.332, -0.115], [0.222, -0.144, -0.264], [-0.684, 0.189, 0.171], [-0.047, -0.047, -0.021]]}

Record 2
{"formula": "C3H11NO3", "method": "ωB97M-V/def2-TZVPD", "lumo_energy_ev": [-3.3, -8.5], "s_squared": 0.755, "total_charge": 1, "homo_lumo_gap_ev": [11.8713, 6.5284], "multiplicity": 2, "relative_energy_kcal_mol": 15.42, "symbols": ["C", "O", "C", "C", "O", "N", "H", "H", "H", "H", "H", "H", "H", "H", "H", "H", "H", "O"], "coordinates": [[0.591323, -0.108231, -1.139045], [-0.549065, 0.188246, -1.973648], [0.280296, 0.294468, 0.295096], [1.600040, 0.189054, 1.144041], [1.409493, 0.377577, 2.496519], [-0.163030, 1.626716, 0.241177], [0.781882, -1.151002, -1.335623], [1.396094, 0.493116, -1.558790], [-1.402231, 0.081110, -1.527162], [-0.525640, -0.320610, 0.718685], [2.201763, 1.043661, 0.856879], [2.003719, -0.775453, 0.921483], [0.771524, -0.242932, 2.881727], [-0.454403, 1.966447, -0.671142], [-0.773278, 2.029736, 0.956525], [-2.991126, -2.128265, -0.316059], [-1.777299, -2.063809, -1.235190], [-2.400061, -1.499827, -0.755472]], "atomic_forces_ev_per_a": [[-1.667, 0.187, -1.284], [0.335, 0.904, 0.037], [0.223, 0.235, -0.941], [-0.448, 0.879, 1.190], [-0.627, 0.100, 0.415], [-1.574, -0.162, 0.346], [0.565, -0.451, 0.780], [0.222, -0.042, 0.174], [0.153, -0.558, 0.044], [0.142, -0.115, 0.347], [0.514, -0.354, -0.430], [0.487, -0.614, -0.446], [0.381, -0.084, -0.094], [0.606, 0.234, -0.627], [0.660, -0.124, 0.428], [-0.029, 0.266, -0.094], [-0.226, 0.040, -0.079], [0.284, -0.342, 0.234]]}

Record 3
After the events of the last movie, Carol Anne’s parents decide to send her to Chicago to live with her aunt, uncle, and cousin to try and get her away from all the ghostly dangers that she has experienced. Carol Anne thinks that she is going to live there to attend a special kind of school, but things soon take a quick turn.
Dr. Seaton: The Villain You’ll Love to Hate
Her aunt and especially her uncle are skeptical of what happened to Carol Anne. However, it is a therapist who really makes things bad as their constant pushing makes it so that Kane can feel Carol Anne and once again, he wants to get his ghostly hands on her. While Kane is the villain of the Poltergeist series, I hate and I mean hate Dr. Seaton who is the person “helping” Carol Anne! Even when some ghostly stuff happens, he still thinks that she is faking it, he is the true villain of this movie and I dislike him more each time I watch this.
Mirrors and Ghostly Dimensions
Kane and his ghostly horde try and get to Carol Anne and her aunt, uncle, and cousin via the mirrors in the apartment building. I thought that the use of mirrors and how they tie to the ghost world/dimension was really cool. We also get “ghost versions” of some other characters in the movie, the scene where Carol Anne’s cousin, Donna bursts through someone in particular is a highlight of the movie.
The Return of Tangina
Young Heather O’Rourke would not be the only Poltergeist alumni to return for this third movie, Zelda Rubenstein’s Tangina also returns and tries to once again help Carol Anne survive the threat of Kane. I like Tangina, but her voice did start to grate on me a bit by the end of this movie. There is a funny meme/bit/discussion about Poltergeist III where people say that at least ¼ of the movie is just the characters yelling each other’s names and honestly, that is not technically wrong and it does get a bit annoying, especially once you are aware that it is happening.
The Iconic Poster of Poltergeist III
Before I bring this thing to a close there is one weird personal story I have with Poltergeist III and it is not to do with the movie, but the movie poster. I do not know why, but the image of the tall Chicago apartment building with lighting blasting over the top of it and little Carol Anne looking up at it creeped the heck out of me the first time I saw it in my local video store as a kid and to this day, it is a movie poster that I really do love. Although, this is my OCD talking here, I really hate how they gave the second movie a subtitle, but they did not for this one!
Final Thoughts on Poltergeist III
Without a doubt, Poltergeist III is nowhere near as good as the original Poltergeist or Poltergeist II: The Other Side, but I have certainly seen way worse horror movies than this one. I can watch this and have a fun time with it, but if I watch Poltergeist, I 9/10 will end up watching Poltergeist II shortly after whereas I never have that drive or desire to watch this third movie each time I have seen the second one.